Communicating was once a skill learnt as part of everyday life, but it is becoming more important now to formalise the learning of communication skills to fully prepare students for life beyond the school gates. This is where debating, public speaking and Voice and Speech find their place in modern schooling; to ensure all students have the skills to participate in the myriad communities in which they will find themselves. In the process of creating and developing content, conversations with teachers, coaches and students also develop connection and nurture interpersonal relationships. In the course of delivering a speech, arguing point, reciting a poem or sharing a story, students are exploring ways to communicate using expressive vocal tones and positive, open body language and in these forums, students receive feedback on their communication style; something that is rarely received in life. This feedback can help draw attention to how students communicate and provide an opportunity to hone their style to ensure they are presenting in a way that is authentic to their message.
Voice and Speech
Voice and Speech provides students from Years 7-12 with the opportunity to develop their verbal and non-verbal communication and interpretation skills. The overall aim of this program is to produce confident, articulate speakers with highly developed interpersonal and presentation skills. Specific objectives include the development and enhancement of a pleasant, unstrained vocal tone, the promotion of clarity of speech and the fostering of oral interpretation of literature. The supportive environment of the small group encourages the development of confidence, allows flexibility to cater for the needs and interests of individuals, and provides opportunities to practice conversational skills. Students may participate in an AMEB examination at year’s end or take part in a variety of other performance events where they can continue to hone their skills.
These crystal structures were left in the piece by mistake:
~~~
Record 1
This entry pairs a crystal structure of Er3Ga8Ir3 with its simulated powder diffraction line list. Radiation: a wavelength of 1.5418 Å. Structure: a GGA-PBE-relaxed structure.
Lines closer than 0.1° are merged.

Largest 10 diffraction maxima, in order of rising 2θ, 2θ from 10° to 90°:
Position (°2θ)	I (rel.)	hkl
11.48	21.2	0 1 1
14.47	24.1	0 0 2
28.83	15.3	1 2 1
34.92	14.2	0 3 3
35.65	100.0	1 2 3
37.64	17.9	1 3 2
43.20	27.6	2 0 0
44.41	17.3	0 0 6
45.83	18.9	1 3 4
46.71	14.9	1 2 5

Cell and atoms:
```
data_Er3Ga8Ir3
_cell_length_a 4.189
_cell_length_b 9.925
_cell_length_c 12.240
_cell_angle_alpha 90.00
_cell_angle_beta 90.00
_cell_angle_gamma 90.00
_symmetry_space_group_name_H-M 'I m m m'
_symmetry_Int_Tables_number 71
_symmetry_space_group_name_Hall '-I 2 2'
loop_
_atom_site_label
_atom_site_fract_x
_atom_site_fract_y
_atom_site_fract_z
_atom_site_occupancy
Er1 0.000 0.000 0.000 1
Er2 0.000 0.000 0.329 1
Ga1 0.000 0.286 0.126 1
Ga2 0.000 0.372 0.334 1
Ir1 0.000 0.215 0.500 1
Ir2 0.000 0.500 0.000 1
```

***

Record 2
This entry pairs a crystal structure of Zr9ScO20 with its simulated powder diffraction line list. Radiation: a wavelength of 1.5418 Å. Structure: a GGA-PBE-relaxed structure.
Lines closer than 0.1° are merged.

Largest 10 diffraction maxima, in order of rising 2θ, 2θ from 10° to 90°:
Position (°2θ)	I (rel.)	hkl
29.88	100.0	2 0 1
34.13	7.8	2 2 0
34.84	6.3	-1 2 1
49.55	9.8	1 4 1
49.63	29.2	3 2 3
50.12	10.1	0 2 4
50.23	10.0	2 -2 2
58.49	14.0	3 4 2
59.43	13.3	0 4 3
59.58	13.2	3 0 4

Cell and atoms:
```
data_Zr9ScO20
_cell_length_a 6.386
_cell_length_b 7.360
_cell_length_c 8.126
_cell_angle_alpha 77.10
_cell_angle_beta 75.37
_cell_angle_gamma 72.19
_symmetry_space_group_name_H-M 'P 1'
_symmetry_Int_Tables_number 1
_symmetry_space_group_name_Hall 'P 1'
loop_
_atom_site_label
_atom_site_fract_x
_atom_site_fract_y
_atom_site_fract_z
_atom_site_occupancy
Zr1 0.000 0.000 0.000 1
Zr2 0.001 0.497 0.996 1
Zr3 0.201 0.799 0.601 1
Zr4 0.399 0.099 0.207 1
Zr5 0.400 0.597 0.203 1
Zr6 0.595 0.903 0.801 1
Zr7 0.602 0.398 0.799 1
Zr8 0.801 0.198 0.404 1
Zr9 0.807 0.694 0.402 1
Sc1 0.201 0.298 0.601 1
O1 0.024 0.181 0.160 1
O2 0.077 0.715 0.142 1
O3 0.130 0.582 0.459 1
O4 0.173 0.113 0.445 1
O5 0.229 0.977 0.763 1
O6 0.273 0.518 0.747 1
O7 0.323 0.381 0.061 1
O8 0.376 0.916 0.045 1
O9 0.427 0.781 0.360 1
O10 0.479 0.313 0.339 1
O11 0.528 0.184 0.659 1
O12 0.577 0.716 0.642 1
O13 0.623 0.581 0.959 1
O14 0.674 0.115 0.943 1
O15 0.727 0.980 0.259 1
O16 0.776 0.516 0.241 1
O17 0.823 0.387 0.557 1
O18 0.875 0.914 0.543 1
O19 0.922 0.783 0.860 1
O20 0.974 0.313 0.843 1
```

***

Record 3
This entry pairs a crystal structure of Hf2InC with its simulated powder diffraction line list. Radiation: a wavelength of 1.5418 Å. Structure: a GGA-PBE-relaxed structure.
Lines closer than 0.1° are merged.

Largest 10 diffraction maxima, in order of rising 2θ, 2θ from 10° to 90°:
Position (°2θ)	I (rel.)	hkl
11.87	6.9	0 0 2
31.08	18.6	1 0 0
36.08	100.0	0 0 6
~~~
Students in Years 7–12 may choose to enrol in the interschool debating program. Working in a team, students will develop skills in researching, persuasive writing, effective communication and group collaboration. Prior experience is not necessary at any level as all teams are allocated a coach who will support them in their research and writing as well as provide expertise in debating technique. Training is also offered to students in all year levels. Loreto Toorak participates in the competition run by the Debaters Association of Victoria and specifically debates in the Hawthorn and Toorak regions.
-- These records of crystals were left in the text by mistake --
/*
The following is a computed X-ray diffraction stick pattern of TbSm12Ho5. It was derived from the PBE geometry in Alexandria, using Cu Kα (λ = 1.5418 Å).
Peak positions follow from Bragg's law for the DFT cell and can differ from measured ones.

Structure:
Cell lengths 10.780, 10.780, 5.088 Å; angles 90.00, 90.00, 90.10 degrees
Fractional coordinates of all 18 atoms:
Tb: 0.000 0.000 0.000
Sm: 0.001 0.668 0.000
Sm: 0.166 0.166 0.500
Sm: 0.168 0.501 0.500
Sm: 0.332 0.999 0.000
Sm: 0.335 0.335 0.000
Sm: 0.499 0.832 0.500
Sm: 0.501 0.168 0.500
Sm: 0.665 0.665 0.000
Sm: 0.668 0.001 0.000
Sm: 0.832 0.499 0.500
Sm: 0.834 0.834 0.500
Sm: 0.999 0.332 0.000
Ho: 0.167 0.833 0.500
Ho: 0.333 0.667 0.000
Ho: 0.500 0.500 0.500
Ho: 0.667 0.333 0.000
Ho: 0.833 0.167 0.500

Top 6 peaks for 2θ = 5–70°, in order of rising 2θ:
- 2θ 30.5, I 100
- 2θ 35.3, I 51
- 2θ 50.8, I 36
- 2θ 60.4, I 29
- 2θ 60.5, I 14
- 2θ 63.4, I 12

=====

The following is a computed X-ray diffraction stick pattern of TbSm5Ho3. It was derived from the PBE geometry in Alexandria, using Cu Kα (λ = 1.5418 Å).
Peak positions follow from Bragg's law for the DFT cell and can differ from measured ones.

Structure:
Cell lengths 8.856, 8.856, 11.528 Å; angles 108.57, 108.57, 44.61 degrees
Fractional coordinates of all 18 atoms:
Tb: 0.239 0.761 0.750
Tb: 0.761 0.239 0.250
Sm: 0.081 0.262 0.847
Sm: 0.262 0.081 0.347
Sm: 0.314 0.686 0.250
Sm: 0.387 0.392 0.949
Sm: 0.392 0.387 0.449
Sm: 0.608 0.613 0.551
Sm: 0.613 0.608 0.051
Sm: 0.686 0.314 0.750
Sm: 0.738 0.919 0.653
Sm: 0.919 0.738 0.153
Ho: 0.000 0.000 0.000
Ho: 0.000 0.000 0.500
Ho: 0.162 0.360 0.628
Ho: 0.360 0.162 0.128
Ho: 0.640 0.838 0.872
Ho: 0.838 0.640 0.372

Top 10 peaks for 2θ = 5–70°, in order of rising 2θ:
- 2θ 30.9, I 38
- 2θ 31.0, I 100
- 2θ 31.3, I 44
- 2θ 31.4, I 18
- 2θ 32.0, I 12
- 2θ 32.9, I 14
- 2θ 33.1, I 12
- 2θ 35.5, I 12
- 2θ 35.6, I 14
- 2θ 55.3, I 19

=====

The following is a computed X-ray diffraction stick pattern of Tb12Sm5Ho2. It was derived from the PBE geometry in Alexandria, using Cu Kα (λ = 1.5418 Å).
Peak positions follow from Bragg's law for the DFT cell and can differ from measured ones.

Structure:
Cell lengths 6.188, 9.464, 10.719 Å; angles 100.98, 95.48, 90.09 degrees
Fractional coordinates of all 19 atoms:
Tb: 0.026 0.106 0.159
Tb: 0.131 0.526 0.788
Tb: 0.183 0.737 0.105
Tb: 0.290 0.159 0.736
Tb: 0.395 0.579 0.369
Tb: 0.447 0.788 0.683
Tb: 0.553 0.212 0.317
Tb: 0.605 0.421 0.631
Tb: 0.710 0.841 0.264
Tb: 0.817 0.263 0.895
Tb: 0.869 0.474 0.212
Tb: 0.974 0.894 0.841
Sm: 0.237 0.947 0.421
Sm: 0.342 0.369 0.053
Sm: 0.500 0.000 0.000
Sm: 0.658 0.631 0.947
Sm: 0.763 0.053 0.579
Ho: 0.079 0.317 0.474
Ho: 0.921 0.683 0.526

Top 8 peaks for 2θ = 5–70°, in order of rising 2θ:
- 2θ 30.6, I 33
- 2θ 30.6, I 100
- 2θ 35.5, I 68
- 2θ 51.1, I 48
- 2θ 60.7, I 24
- 2θ 60.8, I 33
- 2θ 63.8, I 8
- 2θ 63.8, I 8

=====
*/
-- The records of crystals stop here --
Public Speaking Group
# 1
Computed powder XRD pattern
Compound: Co2CuPd6
Radiation: a wavelength of 1.5418 Å
Structure: the GGA-PBE geometry in Alexandria

Most intense lines, 2θ from 10° to 90°, by angle:
40.7 deg, intensity 100.0; 46.4 deg, intensity 17.1; 46.8 deg, intensity 16.9; 48.6 deg, intensity 13.8; 82.1 deg, intensity 11.8; 82.7 deg, intensity 11.9

Cell: 8.1262 6.1819 5.9450 Å, 84.12 49.18 46.70°
Atoms (fractional coordinates):
Co  0.1747  0.1747  0.8253
Co  0.8253  0.8253  0.1747
Cu  0.5000  0.5000  0.5000
Pd  0.1560  0.8440  0.1560
Pd  0.1754  0.4924  0.5076
Pd  0.4924  0.1754  0.8246
Pd  0.5076  0.8246  0.1754
Pd  0.8246  0.5076  0.4924
Pd  0.8440  0.1560  0.8440



# 2
Computed powder XRD pattern
Compound: CoCu2Pd5Pt
Radiation: a wavelength of 1.5418 Å
Structure: the GGA-PBE geometry in Alexandria

Most intense lines, 2θ from 10° to 90°, by angle:
23.9 deg, intensity 16.6; 38.1 deg, intensity 100.0; 42.3 deg, intensity 40.2; 46.8 deg, intensity 14.9; 49.1 deg, intensity 16.0; 74.5 deg, intensity 25.7

Cell: 8.7077 8.7077 8.7077 Å, 139.36 139.36 58.83°
Atoms (fractional coordinates):
Co  0.2500  0.2500  0.0000
Co  0.7500  0.7500  0.0000
Cu  0.1257  0.6257  0.7514
Cu  0.3743  0.1257  0.5000
Cu  0.6257  0.8743  0.5000
Cu  0.8743  0.3743  0.2486
Pd  0.0000  0.0000  0.0000
Pd  0.0957  0.1220  0.5000
Pd  0.1220  0.6220  0.0263
Pd  0.3780  0.4043  0.5000
Pd  0.4043  0.9043  0.0263
Pd  0.5000  0.5000  0.0000
Pd  0.5957  0.0957  0.9737
Pd  0.6220  0.5957  0.5000
Pd  0.8780  0.3780  0.9737
Pd  0.9043  0.8780  0.5000
Pt  0.2500  0.7500  0.5000
Pt  0.7500  0.2500  0.5000



# 3
Computed powder XRD pattern
Compound: Th2CoCuPd
Radiation: a wavelength of 1.5418 Å
Structure: the GGA-PBE geometry in Alexandria

Most intense lines, 2θ from 10° to 90°, by angle:
32.4 deg, intensity 47.3; 33.4 deg, intensity 100.0; 34.8 deg, intensity 92.1; 36.6 deg, intensity 51.5; 39.8 deg, intensity 58.5; 46.2 deg, intensity 46.2

Cell: 7.4010 3.9283 7.7600 Å, 90.00 112.54 90.00°
Atoms (fractional coordinates):
Th  0.0244  0.2500  0.2183
Th  0.3678  0.7500  0.6376
Th  0.6322  0.2500  0.3624
Th  0.9756  0.7500  0.7817
Co  0.1017  0.2500  0.6106
Co  0.8983  0.7500  0.3894
Cu  0.3623  0.2500  0.9429
Cu  0.6377  0.7500  0.0571
Pd  0.3137  0.7500  0.1802
Pd  0.6863  0.2500  0.8198



# 4
Computed powder XRD pattern
Compound: Pm4Co2Cu
Radiation: a wavelength of 1.5418 Å
Structure: the GGA-PBE geometry in Alexandria

Most intense lines, 2θ from 10° to 90°, by angle:
26.6 deg, intensity 99.8; 32.7 deg, intensity 100.0; 32.8 deg, intensity 95.2; 34.1 deg, intensity 65.0; 40.8 deg, intensity 49.0; 41.5 deg, intensity 51.5

Cell: 7.0969 7.0969 7.4674 Å, 105.76 105.76 75.62°
Atoms (fractional coordinates):
Pm  0.0000  0.0000  0.0000
Pm  0.0023  0.0023  0.5153
Pm  0.4573  0.9841  0.8689
Pm  0.4668  0.9988  0.3753
Pm  0.4891  0.4891  0.9923
Pm  0.4984  0.4984  0.5173
Pm  0.9841  0.4573  0.8689
Pm  0.9988  0.4668  0.3753
Co  0.1871  0.6949  0.7245
Co  0.2779  0.2779  0.1502
This group meets once a week and is open to students in Years 7–12. Meetings involve discussion on topical issues, practising improvised speech making and learning how to deliver an engaging speech. Melbourne has a great many public speaking competitions run by a variety of organisations at which public speaking group members are encouraged to participate.